The Trumpian Chronicles — week 1

A pessimist-realist’s take on our changing world

Frederic Guarino
Connecting dots
8 min readJan 28, 2017


These chronicles will be a compendium of thoughts, links, and if Medium finally allows co-authors, conversations.

We are, collectively, in the first week of the new US Presidency and it’s a useful exercise to view the whirlwind of events with some perspective. As I’ve written before, we live in interesting times where the acceleration of technology and other forces are permanently challenging the status quo inherited from the 20th century. It was thought 2001 and the attack on the US by Al Qaeda was the start of the 21st century but from a geopolitical perspective 2016 with Brexit and Trump’s election could be the true “year 1”.

The transition had stated that the first week was going to be “shock and awe” on the “old order” of doing business and they delivered that in spades. My take on the media/tech roots of our current situation is here.

Let’s start by breaking down the main events of this first week:

  1. The Inaugural address (Jan 20)
  2. The US-Mexico Twitter “War” (Jan 26–27)
  3. The Executive Order banning Muslims from the US (Jan 28)

Each of these key events have already had ripple effects on the US and its immediate neighbors Canada and Mexico, as well as the wider world, let’s dive in. I’ve included links from so-called mainstream publications but it’s paramount to go beyond and look at publications like the conservative National Review as well as Breitbart.

  1. The Inaugural address

President Trump had proclaimed his America First stance throughout his campaign and his entire address was crafted in that spirit by Bannon and Miller, his Nativist/nationalist duo. The address needs to be read carefully as it charts an entirely new course for the sole “superpower” and could mean the end of Pax Americana. World capitals are still determining how much of the address is campaign bluster and how much will be put into action.

My take: Trump’s views on trade and countries “ripping off” the US have been constant for decades, he will be trying a difficult exercise ie using the bully pulpit of the US presidency to undo 70 years of globalization. This could be a true test of liberal democracies’ ability to deliver change via the ballot box (more on that in a fleshed out article updating this one).

An interesting take by neo-con Charles Krauthammer: “We are embarking upon insularity and smallness. Nor is this just theory. Trump’s long-promised but nonetheless abrupt withdrawal from the Trans-Pacific Partnership is the momentous first fruit of his foreign-policy doctrine. Last year the prime minister of Singapore told John McCain that if we pulled out of TPP “you’ll be finished in Asia.” He knows the region. For 70 years, we sustained an international system of open commerce and democratic alliances that has enabled America and the West to grow and thrive. Global leadership is what made America great. We abandon it at our peril.”

My thoughts from 2015: “The time is now for a global wake-up call for a reboot of the OS of our broken democracies, without one, it’s difficult to see our current institutions prepare the 22nd century. 15 years into this century Western-style democracies’ support has been sapped by the incestuous corruption of their political and business elites and the inflexibility of our institutions, often too slow to act and enact significant change. Tough authoritarian systems such as China and Russia, even the milder ones such as Singapore, project the ability to solve complex issues by decisive and speedy action without counterbalances. The list of butchered reforms and apathy at the hands of our democratic institutions in North America and Europe is much too long: the stewardship of the environment and the actions to counter climate change, the ability to build an economic system more adapted to our times, show the world that democracies born of the Enlightenment are no longer models too follow.”

2. The US-Mexico Twitter “War”

Pres. Trump will be remembered as the world leader that revolutionized campaigning and statecraft, using social media’s awesome viral powers to great effect. This week saw actual diplomacy take place over Twitter. Candidate Trump, President-elect Trump and now President Trump has been vocal about the building of a border wall. This week the US-Mexico dialogue happened before our very eyes, via video broadcasts and 140 character exchanges.

The last tweet reportedly triggered an impromptu 1 hour-long telephone conversation between the 2 Presidents on Friday.

My take: Beyond the novelty tech aspect, statecraft and high level diplomacy conducted in public via direct communications tools is a total upending of the “way things are done”.

### Records of molecules, kept here for reference
/*
{"formula": "C23H27N3O4", "method": "ωB97M-V/def2-TZVPD", "symbols": ["C", "N", "C", "O", "C", "C", "C", "C", "C", "C", "H", "H", "N", "C", "O", "C", "N", "C", "C", "C", "C", "C", "C", "C", "C", "C", "H", "H", "H", "O", "C", "C", "H", "H", "C", "H", "O", "H", "H", "H", "H", "H", "H", "H", "H", "H", "H", "H", "H", "H", "C", "H", "H", "H", "H", "H", "H"], "coordinates": [[2.73033, 5.37455, -0.93234], [2.35110, 5.93178, 0.34015], [1.90507, 5.22300, 1.40603], [1.46976, 5.76328, 2.40846], [1.98635, 3.73326, 1.31265], [0.83830, 2.97893, 1.53061], [0.89636, 1.60067, 1.52580], [2.11219, 0.94750, 1.32479], [3.26932, 1.69901, 1.13521], [3.20036, 3.07869, 1.12950], [4.10516, 3.65355, 0.99811], [4.21114, 1.19604, 0.99288], [2.11475, -0.44492, 1.33801], [3.10609, -1.31139, 1.01075], [4.22892, -1.01720, 0.66751], [2.64679, -2.76505, 1.15789], [1.21031, -2.88186, 1.01446], [0.63180, -4.06623, 1.62300], [-0.87100, -3.84555, 1.77454], [-1.48559, -3.39890, 0.47834], [-2.85341, -3.48424, 0.28252], [-3.46241, -3.06836, -0.89748], [-2.65517, -2.53414, -1.91083], [-1.28657, -2.44338, -1.70492], [-0.68775, -2.87054, -0.53042], [0.80628, -2.79238, -0.37837], [1.17319, -1.84811, -0.79182], [1.26372, -3.60771, -0.97325], [-0.68576, -2.03976, -2.50629], [-3.12819, -2.16870, -3.16111], [-4.01821, -1.07548, -3.20877], [-5.22934, -1.23618, -2.27622], [-6.09191, -0.73666, -2.71588], [-5.02773, -0.77544, -1.30647], [-5.53336, -2.71551, -2.04320], [-5.32096, -3.29760, -2.94888], [-4.81511, -3.23678, -0.94127], [-6.58091, -2.85835, -1.76794], [-3.48488, -0.14115, -2.97892], [-4.34217, -1.04395, -4.25232], [-3.48950, -3.89686, 1.05052], [-1.35124, -4.76109, 2.12343], [-1.04219, -3.07230, 2.52943], [1.08297, -4.21801, 2.60628], [0.81838, -4.96766, 1.01570], [2.93383, -3.08246, 2.16523], [3.21299, -3.38049, 0.44097], [1.22999, -0.90165, 1.54684], [-0.00068, 1.01842, 1.68402], [-0.09961, 3.48509, 1.70233], [2.37760, 7.37371, 0.41274], [2.07592, 7.66674, 1.41634], [3.38585, 7.74152, 0.20975], [1.68757, 7.80953, -0.31432], [2.49093, 4.31521, -0.97479], [2.18798, 5.89021, -1.72991], [3.80237, 5.50533, -1.10907]], "nbo_charge": [-0.408, -0.428, 0.671, -0.625, -0.162, -0.152, -0.248, 0.152, -0.196, -0.194, 0.216, 0.247, -0.619, 0.675, -0.606, -0.307, -0.461, -0.210, -0.410, -0.040, -0.231, 0.260, 0.203, -0.234, 0.021, -0.259, 0.213, 0.180, 0.220, -0.517, -0.055, -0.475, 0.225, 0.218, -0.064, 0.184, -0.491, 0.197, 0.174, 0.190, 0.221, 0.218, 0.214, 0.205, 0.170, 0.226, 0.203, 0.428, 0.211, 0.225, -0.418, 0.250, 0.191, 0.190, 0.228, 0.194, 0.190], "smiles": "CN(C)C(=O)c1ccc(NC(=O)CN2CCc3cc4c(cc3C2)OCCCO4)cc1", "e_above_lowest_ev": 1.4738, "homo_lumo_gap_ev": 8.94, "largest_force_ha_per_bohr": 0.0119, "total_energy_ev": -36949.9826, "spin_multiplicity": 1, "charge": 0, "e_lumo_ev": 0.604}
*/

National Review’s take: “President Trump insists that he wants a good relationship with Mexico and that a wall would be a “win-win” for the two countries. Maybe. But Trump’s win-win calculus is based upon an analysis of simple national interests. A wall would, Trump argues, curtail drug trafficking and stop the flow of Central American immigrants through Mexico. That’s the case Trump wanted to make at his presidential meeting. And, again, he might be right. But nations don’t act just on their interests; they act on their honor. And shouting “You’ll pay!” is a surefire way of guaranteeing no one will hear anything else.”

3. The Executive Order banning Muslims from the US

Again, this is a stance that candidate Trump made clear in the campaign. The ban was put in place on Friday Jan 27 and it was confirmed Saturday Jan 28 that “people holding so-called green cards, making them legal permanent U.S. residents, are included in President Donald Trump’s executive action temporarily barring people from seven Muslim-majority countries from entering the United States”.

Google’s CEO Sundar Pichai has publicly asked his staff overseas to come home in an internal memo.

My take: this is campaign-style bluster, aimed at the core of Trump’s supporters in the “heartland”. The consequences will be profound and not so counter-intuitively, will benefit Canada.

Lastly, this past week has seen the first salvos of what danah boyd very correctly terms the “information war”: “What’s at stake isn’t “fake news.” What’s at stake is the increasing capacity of those committed to a form of isolationist and hate-driven tribalism that has been around for a very long time. They have evolved with the information landscape, becoming sophisticated in leveraging whatever tools are available to achieve power, status, and attention. And those seeking a progressive and inclusive agenda, those seeking to combat tribalism to form a more perfect union — they haven’t kept up.”

My post from Jan 25: “2016 will probably be remembered as the year that so-called new media and its atomization effect truly came of age. The twin events, which none of the self-appointed punditocracy saw coming, Brexit and the election of Trump, have solid roots in the digital destruction and disruption of the Old Media Order. Both tectonic political earthquakes caught millions of citizens by surprise, who woke up realizing they had been living in comfortable echochambers of like-minded folk. The collision of dueling echochambers is accelerating and this past weekend’s sparring between major media and the new Trump administration on true facts and alternative facts is only the beginning. We are witnessing the advent of democracies functioning with narrow bases of the electorate, replacing majorities with active digital minorities. This is troubling on several levels and the echochambers brought to us by addictive technologies could become liberal democracies’ kryptonite.”

Faced with this barrage of news and events it’s important to maintain perspective, have a restful weekend !

Voices to listen to/follow:

Rafat Ali

umair haque

Simon Constable

